NEW YORK—The nation’s largest composting program is set to begin in Queens on Oct. 3.
### Inserted here: crystal structures
=====
Entry a
## NiAs2Cl (meta-GGA SCAN)

Data for a PBEsol-optimized structure of NiAs2Cl.

Unit cell a=3.7726 b=4.6971 c=4.5615 alpha=119.06 beta=90.00 gamma=90.00
Closest atoms and distances in Å follow each position.
Positions (direct):
Ni1 0.5000 0.5000 0.0000  2 Cl 2.28, 4 As 2.36
As1 0.0000 0.8470 0.1735  2 Ni 2.36, 2 As 2.60
As2 0.0000 0.1530 0.8265  2 Ni 2.36, 2 As 2.60
Cl1 0.5000 0.5000 0.5000  2 Ni 2.28

Values from the calculation:
DOS at the Fermi energy ... 1.34 states/eV per cell
Space-group type ... Cmmm (65)

=====

Entry b
## NiAs2Cl (meta-GGA SCAN)

Data for a PBEsol-optimized structure of NiAs2Cl.

Unit cell a=2.6298 b=3.3537 c=7.8806 alpha=90.00 beta=90.00 gamma=90.00
Closest atoms and distances in Å follow each position.
Positions (direct):
Ni1 0.5000 0.5000 0.5000  8 As 2.54, 2 Ni 2.63
As1 0.0000 0.0000 0.6755  4 Ni 2.54, 3 As 2.63-2.77
As2 0.0000 0.0000 0.3245  4 Ni 2.54, 3 As 2.63-2.77
Cl1 0.5000 0.5000 0.0000  2 Cl 2.63

Values from the calculation:
DOS at the Fermi energy ... 0.64 states/eV per cell
Space-group type ... Pmmm (47)

=====

Entry c
## NiAs2Cl (meta-GGA SCAN)

Data for a PBEsol-optimized structure of NiAs2Cl.

Unit cell a=5.8503 b=6.6454 c=5.8503 alpha=63.88 beta=90.00 gamma=116.12
Closest atoms and distances in Å follow each position.
Positions (direct):
Ni1 0.7500 0.5000 0.7500  4 As 2.19
Ni2 0.0000 0.0000 0.0000  4 As 2.19
As1 0.7079 0.7500 0.3750  2 Ni 2.19
As2 0.0421 0.7500 0.8750  2 Ni 2.19
As3 0.8750 0.2500 0.7079  2 Ni 2.19
As4 0.3750 0.2500 0.0421  2 Ni 2.19
Cl1 0.2500 0.5000 0.2500  4 As 2.76
Cl2 0.5000 0.0000 0.5000  4 As 2.76

Values from the calculation:
DOS at the Fermi energy ... 5.15 states/eV per cell
Space-group type ... I-42d (122)

=====

Entry d
## NiAs2Cl (meta-GGA SCAN)

Data for a PBEsol-optimized structure of NiAs2Cl.

Unit cell a=3.0221 b=3.0221 c=8.1027 alpha=90.00 beta=90.00 gamma=112.06
Closest atoms and distances in Å follow each position.
Positions (direct):
Ni1 0.5000 0.5000 0.2434  2 Cl 2.30, 2 As 2.32
As1 0.0000 0.0000 0.0474  2 Ni 2.32
As2 0.5000 0.5000 0.7739  6 As 2.79-3.02
Cl1 0.0000 0.0000 0.4352  2 Ni 2.30

Values from the calculation:
DOS at the Fermi energy ... 2.99 states/eV per cell
Space-group type ... Cmm2 (35)

=====

Best to worst by energy: entry a, entry b, entry c, entry d.

=====

Entry a
## AsP2ClO (meta-GGA SCAN)

Data for a PBEsol-optimized structure of AsP2ClO.

Unit cell a=3.6546 b=4.8535 c=4.8535 alpha=90.00 beta=90.00 gamma=90.00
Closest atoms and distances in Å follow each position.
Positions (direct):
P1 0.0000 0.0000 0.5000  2 As 2.43
P2 0.0000 0.5000 0.0000  2 As 2.43
As1 0.0000 0.0000 0.0000  2 O 1.83
O1 0.5000 0.0000 0.0000  2 As 1.83
Cl1 0.5000 0.5000 0.5000  8 P 3.04

Values from the calculation:
DOS at the Fermi energy ... 3.20 states/eV per cell
Space-group type ... P4/mmm (123)

=====

Entry b
## AsP2ClO (meta-GGA SCAN)

Data for a PBEsol-optimized structure of AsP2ClO.

Unit cell a=3.8401 b=3.8401 c=5.5475 alpha=90.00 beta=90.00 gamma=90.00
=====
### Here the text continues
New York City Mayor Eric Adams and New York City Department of Sanitation (DSNY) Commissioner Jessica Tisch hope Queens residents will set an example and have a high participation rate, as previous programs have been canceled due to lack of participation and inefficiency.
Adams, Tisch, and Queens Borough President Donovan Richards announced the program on Aug. 8 at a press conference in Flushing Meadows-Corona Park.
“Unlike past composting programs, there is no sign-up required for this new program. Residents of Queens need to simply set out their waste on the assigned day—all collection schedule information will be available on DSNY’s composting website by mid-September—and let DSNY pick it up to turn into usable compost or clean, renewable energy,” Adams stated in a press release.
The sanitation department will guarantee compost weekly compost pickups from every Queens resident. The program will run until December, when it shuts down and restarts in March. Residents can use their own bins or call to have a specially designed compost bin delivered. Compost bins will be automatically delivered to buildings with ten or more units.
Additionally, the other boroughs of New York City will have 250 specially designed compost bins dispersed and delivered to them.
“For organics to work, it needs to benefit beyond the true believers. For that to happen, it needs to be simple to use,” Tisch said at the press conference. She said collection costs would be half that of other programs due to fleet, routing, and workforce efficiencies.
The previous iteration of the city’s composting program was ended due to budget cuts related to COVID-19.
Here the piece breaks off for calculated crystals =
-- begin --
Record 1
A geometry-optimized Sm3Si4Rh2 structure. Source: the Alexandria database, functional GGA-PBE.

The space group is C2/m (No. 12) and the conventional cell measures 11.104, 4.144 and 8.174 Å, with angles of 90.00, 109.22 and 90.00 degrees. The asymmetric unit holds Sm at (0.000, 0.000, 0.000), Sm at (0.113, 0.500, 0.693), Si at (0.103, 0.000, 0.400), Si at (0.221, 0.500, 0.074) and Rh at (0.193, 0.500, 0.360).

The value obtained for the size of the total moment is 0.00 μB per formula unit. Its uncorrected formation energy is -915 meV per atom. The value obtained for the total energy is -6.532 eV per atom. As for the density: 7.19 g cm⁻³.

***

Record 2
A geometry-optimized IrAuF structure. Source: the Alexandria database, functional GGA-PBE.

The space group is Cm (No. 8) and the conventional cell measures 2.756, 4.773 and 6.934 Å, with angles of 90.00, 90.59 and 90.00 degrees. The asymmetric unit holds Ir at (0.000, 0.000, 0.000), Au at (0.495, 0.500, 0.623) and F at (0.009, 0.000, 0.286).

The energy above the lowest structure with this stoichiometry is 0.071 eV per atom. The value obtained for the size of the total moment is 0.34 μB per formula unit. Its uncorrected formation energy is -190 meV per atom. The value obtained for the total energy is -4.860 eV per atom. As for the density: 14.86 g cm⁻³.

***

Record 3
A geometry-optimized BaLi2YAu4 structure. Source: the Alexandria database, functional GGA-PBE.

The space group is R-3m (No. 166, hexagonal axes) and the conventional cell measures 4.6056, 4.6056 and 30.5716 Å, with angles of 90.00, 90.00 and 120.00 degrees. The asymmetric unit holds Ba at (0.0000, 0.0000, 0.0000), Li at (0.0000, 0.0000, 0.2402), Y at (0.0000, 0.0000, 0.5000), Au at (0.0000, 0.0000, 0.1164) and Au at (0.0000, 0.0000, 0.4031).

The value obtained for the size of the total moment is 0.00 μB per formula unit. The formation energy comes out at -667 meV per atom. The value obtained for the total energy is -3.832 eV per atom. As for the density: 9.12 g cm⁻³.

***

Record 4
A geometry-optimized TbTm5Sc structure. Source: the Alexandria database, functional GGA-PBE.

The space group is Imm2 (No. 44) and the conventional cell measures 7.780, 11.385 and 6.010 Å, with angles of 90.00, 90.00 and 90.00 degrees. The asymmetric unit holds Tb at (0.000, 0.000, 0.000), Tm at (0.000, 0.253, 0.723), Tm at (0.000, 0.500, 0.282), Tm at (0.184, 0.000, 0.489) and Sc at (0.000, 0.500, 0.746).

The energy above the lowest structure with this stoichiometry is 0.907 eV per atom. The value obtained for the size of the total moment is 0.00 μB per formula unit. The formation energy comes out at 972 meV per atom. The value obtained for the total energy is -3.788 eV per atom. As for the density: 6.54 g cm⁻³.

***

Record 5
A geometry-optimized ThMg3Sc2 structure. Source: the Alexandria database, functional GGA-PBE.
-- stop --

Jackson Heights
Angelo, 21, did not know about the composting program starting in October but said he would participate.Victor Castillo, 50, did not know about the program starting in October but said it was interesting that it was happening in Queens and that he might take part.
Forest Hills
An elderly male, who did not want his name mentioned, said he didn’t think his building manager would get a composting bin, but once informed that everyone would get one, asked if he would use it, he responded, “If it will be there, why not?”Beatriz Burth was not aware of the program but was interested in participating. “Yeah, I am. I recycle everything. I like to recycle plastic, glass, and cans. I just wish that they would do more with that,” she said.
Steven Li, 13, said he would not use the program himself, but his parents might.
William Chen, 21, had never heard of composting. He said he would have to research the program more and would consider participating.
Serge Melikyan, 42, said that if there were a bin at his apartment, he would use it.
“Yeah, composting. Recycle, reuse, and I can’t remember the third one,” said Anthony Rodriguez, 19. “Yeah, I would use it if it was there.”
George McAuliffe, 52, already has a brown compost bin but puts bird seeds in it.
“To be honest with you, I don’t think I would. I don’t have a lot of scraps, and the scraps are very minimal,” McAuliffe said.
DSNY’s Rules
DSNY advises that leaf and yard waste should be put in a separate bin or bag from regular trash and need to be marked as yard waste.Food scraps and food-soiled paper products are to be put in any bin with a maximum size of 55 gallons and a secure lid. The bin should be marked with a free composting bin decal, which can be ordered from DSNY.
Any type of leaves, flower, grass clippings, and twigs are acceptable. All food scraps or food-soiled paper material, like napkins, paper towels, and uncoated plates, are acceptable.
DSNY warns not to use composting bins for diapers, hygienic products, animal waste, wrappers, packaging, or foam products. Recyclables such as metal, glass, rigid plastic, beverage cartons, clean recyclable paper, and cardboard are unacceptable.